
I’m not writing this post in vim, which is really a rather odd concept for me. I’ve written quite a bit about vim in the past; it has been my most faithful writing companion for many years now. Part of the reason is its portability and POSIX inclusion – it (or its predecessor, vi) is likely already on a given system I’m using, and if it isn’t, I can get it there easily enough. But just as important is the fact that it’s a modal editor, where text manipulation is handled via its own grammar and not a collection of finger-twisting chords. There aren’t really many other modal editors out there, likely because of that first point – if you’re going to put the effort into learning such a thing, you may as well learn the one that’s on every system (and the one with thousands of user-created scripts, and the one where essentially any question imaginable is just a Google away…). So, I was a bit surprised when I learned about Kakoune, a modal editor that simply isn’t vim1.

Now, I’ve actually written a couple of recent posts in Kakoune so that I could get a decent feel for it, but I have no intention of leaving vim. I don’t know that I would recommend people learn it over vim, for the reasons mentioned in the previous paragraph. Though if those things were inconsequential to a potential user, Kakoune has some very interesting design ideas that I think would be more approachable to a new user. Heck, it even has a Clippy:

~                                                          ╭──╮   ╭───┤nop├────╮
~                                                          │  │   │ do nothing │
~                                                          @  @  ╭╰────────────╯
~                                                          ││ ││ │
~                                                          ││ ││ ╯
~                                                          │╰─╯│
~                                                          ╰───╯
nop          unset-option                                                      █
:nop            content/post/2018-06/kakoune.md 17:1 [+] prompt - client0@[2968]

The following is a theoretical powder diffractogram of TbSmRh2. It was derived from a DFT-relaxed cell (PBE, the Materials Project), using λ = 1.5418 Å (Cu Kα).
Intensities are scaled so that the largest is 100.

Top 7 peaks for 2θ = 10–80°, sorted by position:
2θ (°)	Rel. int.
25.6	4
36.5	100
45.1	1
52.6	17
59.4	2
65.7	35
77.6	11

Atomic structure:
```
TbSmRh2
1.0
0.000 3.481 3.481
3.481 0.000 3.481
3.481 3.481 0.000
Tb Sm Rh
1 1 2
Cartesian
0.000 0.000 0.000 Tb
3.481 3.481 3.481 Sm
1.740 1.740 1.740 Rh
5.221 5.221 5.221 Rh
```

The following is a theoretical powder diffractogram of MgSi. It was derived from a DFT-relaxed cell (PBE, the Materials Project), using λ = 1.5418 Å (Cu Kα).
Intensities are scaled so that the largest is 100.

Top 10 peaks for 2θ = 10–80°, sorted by position:
2θ (°)	Rel. int.
25.3	44
27.2	40
28.4	100
37.3	57
39.0	58
39.6	87
40.2	39
40.6	59
45.0	78
47.1	42

Atomic structure:
```
MgSi
1.0
4.625 0.000 0.000
0.373 5.073 0.000
1.797 0.451 10.242
Mg Si
6 6
Cartesian
0.000 0.000 0.000 Mg
1.197 0.745 4.329 Mg
3.471 4.759 6.495 Mg
2.812 2.571 0.596 Mg
4.590 1.921 7.904 Mg
4.851 3.735 2.800 Mg
2.315 2.931 9.266 Si
2.612 5.054 1.694 Si
3.312 2.169 5.303 Si
3.599 1.389 3.032 Si
5.799 4.371 7.699 Si
5.779 3.336 5.470 Si
```

~~~~~

# 1
Starting from a crystal structure in Alexandria, relaxed with GGA-PBE, the XRD peak list of AlAg2Te was simulated for CuKα.
Lines closer than 0.1° are merged.

Cell and atoms:
Cell lengths 4.569, 4.569, 5.855 Å; angles 100.95, 100.95, 46.27 degrees
Positions (direct):
Al 0.000 0.000 0.000
Ag 0.260 0.260 0.803
Ag 0.740 0.740 0.197
Te 0.500 0.500 0.500

Main lines, sorted by position (10° ≤ 2θ ≤ 80°):
2θ 23.9, intensity 172
2θ 27.1, intensity 152
2θ 29.2, intensity 197
2θ 32.5, intensity 1000
2θ 34.3, intensity 398
2θ 40.0, intensity 219
2θ 41.9, intensity 531
2θ 42.0, intensity 180
2θ 44.1, intensity 223
2θ 50.9, intensity 149


# 2
Starting from a crystal structure in Alexandria, relaxed with GGA-PBE, the XRD peak list of Al2Ag14Te9 was simulated for CuKα.
Lines closer than 0.1° are merged.

Cell and atoms:
Cell lengths 7.890, 8.421, 10.941 Å; angles 89.20, 87.92, 64.10 degrees
Positions (direct):
Al 0.123 0.182 0.297
Al 0.877 0.818 0.703
Ag 0.158 0.464 0.407
Ag 0.168 0.782 0.093
Ag 0.177 0.453 0.935
Ag 0.220 0.725 0.584
Ag 0.439 0.880 0.422
Ag 0.442 0.544 0.279
Ag 0.467 0.854 0.955
Ag 0.533 0.146 0.045
Ag 0.558 0.456 0.721
Ag 0.561 0.120 0.578
Ag 0.780 0.275 0.416
Ag 0.823 0.547 0.065
Ag 0.832 0.218 0.907
Ag 0.842 0.536 0.593
Te 0.104 0.860 0.344
Te 0.148 0.160 0.047
Te 0.217 0.412 0.676
Te 0.491 0.172 0.314
Te 0.500 0.500 0.000
Te 0.509 0.828 0.686
Te 0.783 0.588 0.324
Te 0.852 0.840 0.953
Te 0.896 0.140 0.656

Main lines, sorted by position (10° ≤ 2θ ≤ 80°):
2θ 22.3, intensity 581
2θ 23.7, intensity 492
2θ 24.4, intensity 1000
2θ 33.4, intensity 482
2θ 35.6, intensity 733
2θ 38.1, intensity 721
2θ 39.2, intensity 839
2θ 39.4, intensity 662
2θ 39.4, intensity 901
2θ 39.7, intensity 542


# 3

Here are a few of my takeaways:

I guess there are far more negative points in that list than positives, but the truth is that the positives are really positive. Kakoune has done an incredible job of changing vim paradigms in ways that actually make a lot of sense. It’s a more modern, accessible, streamlined approach to modal editing. Streamlining even justifies several of my complaints – certainly the lack of a file browser, and probably the lack of splitting fall squarely under the Unix philosophy of Do One Thing and Do It Well. I’m going to continue to try to grok Kakoune a bit better, because even in my vim-centric world, I can envision situations where the more direct (yet still modal) interaction model of Kakoune would be incredibly beneficial to my efficiency.

  1. I know things like neovim exist. But they’re still ultimately based on vim (and/or vi, depending on how you want to look at it). Kakoune takes some cues from vim, but is absolutely its own thing. ↩︎